_Request_
Write out the whole of the notes underneath word for word, please.

_Contents_
'''
{"formula": "BeF2", "functional": "PBE", "state": "optimized geometry", "lattice": [[4.9169, 0.0000, 0.0000], [-2.4585, 4.2582, 0.0000], [0.0000, 0.0000, 5.3906]], "species": ["Be", "Be", "Be", "F", "F", "F", "F", "F", "F"], "fractional_positions": [[0.0000, 0.5000, 0.1667], [0.5000, 0.0000, 0.5000], [0.5000, 0.5000, 0.8333], [0.2099, 0.4198, 0.0000], [0.2099, 0.7901, 0.3333], [0.4198, 0.2099, 0.6667], [0.5802, 0.7901, 0.6667], [0.7901, 0.2099, 0.3333], [0.7901, 0.5802, 0.0000]], "de_polymorph_mev_per_atom": 1, "piezo_max_c_m2": 0.11}

{"formula": "BeF2", "functional": "PBE", "state": "optimized geometry", "lattice": [[-4.2804, 4.2804, 4.2804], [4.2804, -4.2804, 4.2804], [4.2804, 4.2804, -4.2804]], "species": ["Be", "Be", "Be", "Be", "Be", "Be", "F", "F", "F", "F", "F", "F", "F", "F", "F", "F", "F", "F"], "fractional_positions": [[0.2500, 0.5000, 0.7500], [0.2500, 0.7500, 0.5000], [0.5000, 0.2500, 0.7500], [0.5000, 0.7500, 0.2500], [0.7500, 0.2500, 0.5000], [0.7500, 0.5000, 0.2500], [0.0000, 0.3211, 0.6123], [0.0000, 0.6123, 0.3211], [0.2912, 0.6789, 0.6789], [0.3211, 0.0000, 0.6123], [0.3211, 0.6123, 0.0000], [0.3877, 0.3877, 0.7088], [0.3877, 0.7088, 0.3877], [0.6123, 0.0000, 0.3211], [0.6123, 0.3211, 0.0000], [0.6789, 0.2912, 0.6789], [0.6789, 0.6789, 0.2912], [0.7088, 0.3877, 0.3877]], "de_polymorph_mev_per_atom": 0, "piezo_max_c_m2": 0.05}

{"formula": "BeF2", "functional": "PBE", "state": "optimized geometry", "lattice": [[2.2986, -3.6786, 0.0000], [2.2986, 3.6786, 0.0000], [0.0000, 0.0000, 2.3959]], "species": ["Be", "F", "F"], "fractional_positions": [[0.0000, 0.0000, 0.0000], [0.1479, 0.8521, 0.5000], [0.8521, 0.1479, 0.5000]], "m_tot_mub_per_cell": 0.00, "de_polymorph_mev_per_atom": 481}

{"formula": "BeF2", "functional": "PBE", "state": "optimized geometry", "lattice": [[4.2694, -2.4374, 0.0000], [4.2694, 2.4374, 0.0000], [-0.4003, 0.0000, 9.0233]], "species": ["Be", "Be", "Be", "F", "F", "F", "F", "F", "F"], "fractional_positions": [[0.0000, 0.0000, 0.0000], [0.1357, 0.3942, 0.8334], [0.6058, 0.8643, 0.1666], [0.0821, 0.7091, 0.8952], [0.2909, 0.9179, 0.1048], [0.3857, 0.1882, 0.7400], [0.7031, 0.0754, 0.0908], [0.8118, 0.6143, 0.2600], [0.9246, 0.2969, 0.9092]], "m_tot_mub_per_cell": 0.00, "de_polymorph_mev_per_atom": 223}
'''

_Completed_
{"formula": "BeF2", "functional": "PBE", "state": "optimized geometry", "lattice": [[4.9169, 0.0000, 0.0000], [-2.4585, 4.2582, 0.0000], [0.0000, 0.0000, 5.3906]], "species": ["Be", "Be", "Be", "F", "F", "F", "F", "F", "F"], "fractional_positions": [[0.0000, 0.5000, 0.1667], [0.5000, 0.0000, 0.5000], [0.5000, 0.5000, 0.8333], [0.2099, 0.4198, 0.0000], [0.2099, 0.7901, 0.3333], [0.4198, 0.2099, 0.6667], [0.5802, 0.7901, 0.6667], [0.7901, 0.2099, 0.3333], [0.7901, 0.5802, 0.0000]], "de_polymorph_mev_per_atom": 1, "piezo_max_c_m2": 0.11}

{"formula": "BeF2", "functional": "PBE", "state": "optimized geometry", "lattice": [[-4.2804, 4.2804, 4.2804], [4.2804, -4.2804, 4.2804], [4.2804, 4.2804, -4.2804]], "species": ["Be", "Be", "Be", "Be", "Be", "Be", "F", "F", "F", "F", "F", "F", "F", "F", "F", "F", "F", "F"], "fractional_positions": [[0.2500, 0.5000, 0.7500], [0.2500, 0.7500, 0.5000], [0.5000, 0.2500, 0.7500], [0.5000, 0.7500, 0.2500], [0.7500, 0.2500, 0.5000], [0.7500, 0.5000, 0.2500], [0.0000, 0.3211, 0.6123], [0.0000, 0.6123, 0.3211], [0.2912, 0.6789, 0.6789], [0.3211, 0.0000, 0.6123], [0.3211, 0.6123, 0.0000], [0.3877, 0.3877, 0.7088], [0.3877, 0.7088, 0.3877], [0.6123, 0.0000, 0.3211], [0.6123, 0.3211, 0.0000], [0.6789, 0.2912, 0.6789], [0.6789, 0.6789, 0.2912], [0.7088, 0.3877, 0.3877]], "de_polymorph_mev_per_atom": 0, "piezo_max_c_m2": 0.05}

{"formula": "BeF2", "functional": "PBE", "state": "optimized geometry", "lattice": [[2.2986, -3.6786, 0.0000], [2.2986, 3.6786, 0.0000], [0.0000, 0.0000, 2.3959]], "species": ["Be", "F", "F"], "fractional_positions": [[0.0000, 0.0000, 0.0000], [0.1479, 0.8521, 0.5000], [0.8521, 0.1479, 0.5000]], "m_tot_mub_per_cell": 0.00, "de_polymorph_mev_per_atom": 481}

{"formula": "BeF2", "functional": "PBE", "state": "optimized geometry", "lattice": [[4.2694, -2.4374, 0.0000], [4.2694, 2.4374, 0.0000], [-0.4003, 0.0000, 9.0233]], "species": ["Be", "Be", "Be", "F", "F", "F", "F", "F", "F"], "fractional_positions": [[0.0000, 0.0000, 0.0000], [0.1357, 0.3942, 0.8334], [0.6058, 0.8643, 0.1666], [0.0821, 0.7091, 0.8952], [0.2909, 0.9179, 0.1048], [0.3857, 0.1882, 0.7400], [0.7031, 0.0754, 0.0908], [0.8118, 0.6143, 0.2600], [0.9246, 0.2969, 0.9092]], "m_tot_mub_per_cell": 0.00, "de_polymorph_mev_per_atom": 223}